- Trezor Hardware Wallet (Official**) - us

Trezor is a hardware cryptocurrency wallet designed to provide secure storage for your cryptocurrencies, protecting them from online threats such as hacking and malware.

Trezor is a hardware cryptocurrency wallet designed to provide secure storage for your cryptocurrencies, protecting them from online threats such as hacking and malware. Here's a step-by-step guide on how to use a Trezor wallet:

Setting Up Your Trezor Wallet:

  1. Purchase a Trezor Device:

    • You can buy a Trezor hardware wallet from the official Trezor website or authorized resellers.

  2. Unbox and Connect:

    • Once you have your Trezor device, unbox it and connect it to your computer using the provided USB cable.

  3. Visit the Trezor Website:

    • Go to the official Trezor website ( using a secure web browser.

  4. Install Trezor Bridge (if necessary):

    • Some browsers may require you to install the Trezor Bridge software, which facilitates communication between your device and the web browser. Follow the on-screen instructions if prompted.

**Molecular data that have nothing to do with the article**
'''
Computed, not measured: the molecule C6H13NO3, with the ωB97M-V functional and the def2-TZVPD basis.

Element x y z (Å)
H1 -2.664 -3.484 0.021
N1 -2.261 -3.151 0.894
C1 -2.167 -1.867 0.892
O1 -1.477 -1.431 1.937
C2 -2.078 -0.995 -0.352
O2 -2.770 -1.602 -1.413
C3 -0.651 -0.610 -0.766
O3 -0.176 0.437 0.028
C4 1.117 0.866 -0.339
C5 1.553 2.007 0.560
C6 2.929 2.542 0.178
H2 -1.041 -2.387 2.207
H3 -2.610 -0.061 -0.110
H4 -2.193 -2.203 -1.894
H5 -0.695 -0.300 -1.825
H6 0.020 -1.487 -0.702
H7 1.113 1.192 -1.397
H8 1.830 0.023 -0.260
H9 1.560 1.655 1.603
H10 0.805 2.813 0.498
H11 3.232 3.358 0.848
H12 3.694 1.753 0.242
H13 2.932 2.931 -0.851

Calculated values
Molar mass ... 147.2 g/mol
Frontier orbital gap ... 10.69 eV
E_tot ... -14063.9287 eV
Relative energy (zero: lowest compared OMol25 entry of this formula, charge and spin) ... 62.3 kcal per mole
E_HOMO ... -9.98 eV

Charges per atom according to Löwdin partitioning, unit e: H 0.05; N 0.13; C -0.45; O 0.02; C -0.29; O -0.02; C -0.18; O -0.13; C -0.25; C -0.24; C -0.12; H 0.20; H 0.16; H 0.10; H 0.14; H 0.14; H 0.13; H 0.13; H 0.12; H 0.12; H 0.07; H 0.07; H 0.07

~~~~~

The following is a quantum chemistry calculation of a gas-phase ion, C31H28F4N (charge +1), from the OMol25 dataset.

Computed properties:
- Orbital gap: 4.71 eV
- HOMO: -0.390 hartree

Structure (ORCA input):
```
! RIJCOSX wB97M-V def2-TZVPD def2/J DEFGRID3
* xyz 1 1
C 3.18718 3.66031 -0.74819
C 0.13158 1.40834 0.11675
C -1.77213 -3.56916 -0.95777
H -1.69943 -6.01229 -3.34920
C -0.77966 -2.13684 2.67225
H -0.63077 -2.99712 3.32277
C -0.03212 -0.92782 3.14755
C 1.20157 5.63422 -0.40152
H 1.84344 -2.05749 3.44159
H -0.42286 2.22366 0.60398
H -1.71673 0.01293 2.03465
H 0.20146 -2.11461 -3.31093
H -4.82370 1.92966 0.52030
H -3.01016 -1.99871 0.52581
C -4.02918 -0.08884 0.52961
C -1.50943 -5.05176 -2.87921
C -0.65913 0.22245 2.30909
C 4.13455 2.63064 -1.01001
H 2.80206 7.05781 -0.72766
H -0.83072 -3.11233 0.79674
C 1.80807 3.27652 -0.45996
H -0.66334 1.17711 2.86795
H 4.47230 0.49767 -1.36549
H 4.55407 5.28516 -0.97817
H 2.06151 -0.27483 3.29247
C 1.48237 1.87798 -0.36372
C -1.97913 -4.78278 -1.60870
H -0.15500 -0.73839 4.21791
C -0.72376 -4.05197 -3.44212
C -4.06581 1.25371 0.14011
F -2.63479 -5.76762 -0.91247
C -2.24470 0.69625 -1.38693
F -0.25328 -4.26788 -4.71218
C 2.53155 6.00999 -0.63963
C -3.00104 -0.95875 0.15922
C -1.99235 -0.48141 -0.66562
H 0.72245 -2.96995 1.46015
C -0.86561 -2.64071 -1.48520
C 3.51121 5.03588 -0.79001
H -2.32937 -3.46202 -0.02298
H 2.11964 -0.12226 -0.89415
H -0.38651 1.20211 -0.81872
C 0.85258 4.29636 -0.30839
H 0.42754 6.39194 -0.29979
C 2.14100 -1.34814 1.60667
H 2.35003 -2.30762 1.16920
H 2.60264 -0.55863 1.03857
C 0.17721 0.18243 1.03850
C -3.13372 1.61379 -0.83135
C -0.64999 -1.24657 -0.77091
H -0.18505 4.02794 -0.13372
C 2.41246 0.93354 -0.80208
F -5.05702 -0.63030 1.27666
H -1.62798 0.94242 -2.24683
H 0.00665 -0.73625 -1.47078
H 5.17279 2.90801 -1.19398
H 1.14322 0.37535 1.52118
'''

  5. Initialize Your Trezor Device:

Attached: quantum chemistry results
/*
one:
DFT (the ωB97M-V functional and the def2-TZVPD basis) results for an isolated molecule of C4H4O.

Values from the calculation:
total charge	0
Kohn-Sham gap	8.745	eV
E_HOMO	-8.72	eV

Geometry as XYZ:
```
9
Properties=species:S:1:pos:R:3:lowdin_charge:R:1
C 2.782 -0.195 0.531 0.13
C 1.717 0.176 0.087 -0.13
C 0.462 0.149 -0.604 -0.08
C -1.810 0.072 -0.225 -0.07
O -0.499 0.407 0.245 -0.14
H 3.704 -0.557 0.925 0.03
H -1.735 -0.280 -1.256 0.08
H -2.167 -0.720 0.438 0.09
H -2.453 0.948 -0.142 0.09
```

---

two:
DFT (the ωB97M-V functional and the def2-TZVPD basis) results for an isolated molecule of C4H4O.

Values from the calculation:
total charge	0
Kohn-Sham gap (spin up / spin down)	7.478 / 7.479	eV
E_HOMO (spin up / spin down)	-8.75 / -8.75	eV

Geometry as XYZ:
```
9
Properties=species:S:1:pos:R:3:lowdin_charge:R:1
C 0.307 -2.950 0.068 -0.05
C 0.151 -1.732 0.049 -0.34
C 0.559 -0.349 -0.353 -0.23
C -0.702 0.225 -0.162 -0.13
O -1.399 0.440 0.916 0.13
H 1.272 0.054 0.467 0.16
H 0.878 -0.217 -1.476 0.17
H -1.298 0.499 -0.971 0.13
H -1.040 -0.148 1.624 0.16
```

---

Which of them is the least stable? Correct choice: two.

---

one:
DFT (the ωB97M-V functional and the def2-TZVPD basis) results for an isolated molecule of C4H6N2O.

Values from the calculation:
total charge	0
Kohn-Sham gap	9.799	eV
E_HOMO	-9.77	eV

Geometry as XYZ:
```
13
Properties=species:S:1:pos:R:3:lowdin_charge:R:1
H 1.347 1.361 0.003 0.08
N 0.541 2.232 -0.032 0.03
C -0.641 1.599 -0.107 -0.16
N -0.520 0.136 -0.093 -0.10
C 0.823 -0.153 0.320 -0.28
C 1.495 -1.232 -0.195 0.02
C -1.596 -0.716 -0.019 -0.20
O -2.788 -0.210 0.127 -0.05
H -1.649 2.118 -0.575 0.18
H 0.999 0.608 1.200 0.15
H 2.183 -2.033 0.559 0.14
H 1.322 -1.906 -1.067 0.06
H -1.515 -1.802 -0.120 0.13
```

---

two:
DFT (the ωB97M-V functional and the def2-TZVPD basis) results for an isolated molecule of C4H6N2O.

Values from the calculation:
total charge	0
Kohn-Sham gap	8.466	eV
E_HOMO	-8.02	eV

Geometry as XYZ:
```
13
Properties=species:S:1:pos:R:3:lowdin_charge:R:1
O -2.278 0.690 -0.086 -0.15
C -0.886 0.781 0.455 -0.20
C 0.206 0.631 -0.758 -0.25
N 1.584 0.654 -0.468 0.06
C 1.777 -0.491 0.258 -0.16
N 0.677 -1.262 0.537 0.00
C -0.310 -0.611 -0.051 -0.34
H -2.222 1.567 -0.788 0.18
H -0.592 1.418 1.382 0.16
H -0.444 0.947 -1.664 0.15
H 2.774 -0.538 0.638 0.10
H 0.646 -2.364 1.112 0.29
H -0.932 -1.422 -0.568 0.17
```

---

Which of them is the least stable? Correct choice: two.

---

one:
DFT (the ωB97M-V functional and the def2-TZVPD basis) results for a cluster of 2 separate species, C4H6N2O in total.

Values from the calculation:
total charge	0
Kohn-Sham gap	8.812	eV
E_HOMO	-8.33	eV

Geometry as XYZ:
```
13
Properties=species:S:1:pos:R:3:lowdin_charge:R:1
O 0.015 -2.728 1.787 0.12
C 0.299 -1.497 1.389 -0.45
C 1.022 -0.533 0.956 0.04
N -0.529 -0.346 1.178 0.05
H 0.785 -3.303 1.665 0.13
H 1.764 0.004 0.391 0.06
H -0.675 0.125 2.080 0.07
C -0.935 1.276 -1.592 -0.08
C 0.495 1.567 -1.557 -0.29
N 1.627 1.802 -1.529 0.12
*/

    • Follow the on-screen instructions on the Trezor device's display to initialize it. This typically involves setting a PIN code for your device. Make sure to choose a strong PIN and remember it.

  6. Backup Your Recovery Seed:

    • During the setup process, you will be given a recovery seed. This is a list of words (usually 12 or 24) that acts as a backup for your wallet. Write down these words on the provided recovery card and store it in a safe and secure place. Never share this seed with anyone, as it provides access to your funds if your device is lost or damaged.

Accessing Your Trezor Wallet:

  1. Connect Your Trezor Device:

    • Whenever you want to access your Trezor wallet, connect the device to your computer via USB.

  2. Power On Your Trezor:

    • Turn on your Trezor device by entering your PIN code on the device's screen.

  3. Open Trezor Wallet Interface:

    • Visit the Trezor Wallet website ( using a secure web browser.

  4. Choose Your Wallet:

    • Select the cryptocurrency wallet you want to use from the list of supported assets. Trezor supports a wide range of cryptocurrencies.

_Here the piece breaks off for records of molecules_
........
2 unconnected molecules or ions with the total composition C5H14BO3. Source: OMol25; level of theory: ωB97M-V with the def2-TZVPD basis set.

Properties
**E_LUMO**: 2.683 eV
**Net charge**: -1

Cartesian coordinates (Å):
O1 -1.6187 1.4377 -3.3474
B1 -2.2807 2.1829 -2.4158
C1 -1.9476 2.0973 -0.8843
C2 -1.4242 0.7445 -0.4091
O2 -1.2065 0.6769 0.9861
H1 -0.6851 1.2806 -3.1758
H2 -3.1413 2.9107 -2.8352
H3 -2.7929 2.4244 -0.2718
H4 -1.1515 2.8419 -0.7037
H5 -2.1395 -0.0506 -0.6246
H6 -0.4871 0.5050 -0.9274
H7 -0.5965 1.3748 1.2416
C3 2.7953 -1.2270 1.8312
C4 1.8410 -1.3948 0.6189
C5 0.6820 -2.3268 1.0646
O3 2.4735 -1.8275 -0.4760
H8 3.2414 -2.2003 2.0629
H9 3.5973 -0.5348 1.5623
H10 2.2899 -0.8452 2.7297
H11 1.3576 -0.3756 0.4939
H12 1.0843 -3.3204 1.2901
H13 -0.0359 -2.4243 0.2456
H14 0.1452 -1.9494 1.9442

Forces on the atoms, in the same order (eV/Å):
O 0.091 0.795 -0.526
B 0.011 -0.179 0.135
C 0.252 0.226 0.084
C 0.265 -0.070 -0.051
O -0.431 0.212 0.219
H -0.128 -0.610 0.380
H -0.120 -0.213 -0.018
H -0.011 -0.056 -0.037
H -0.087 0.033 0.035
H 0.034 0.017 -0.051
H -0.086 -0.134 -0.039
H 0.189 -0.117 -0.056
C -0.023 0.070 0.018
C 0.026 -0.107 0.111
C -0.067 0.114 -0.016
O -0.022 0.048 -0.130
H 0.030 0.019 -0.014
H 0.026 -0.042 -0.017
H -0.030 -0.004 0.004
H 0.012 0.010 0.022
H 0.029 0.012 -0.048
H 0.033 -0.039 -0.021
H 0.007 0.016 0.017
........

  5. Manage Your Funds:

    • Use the Trezor wallet interface to view your balances, send and receive cryptocurrencies, and manage your holdings. Transactions often require confirmation on the Trezor device itself, providing an added layer of security.

  6. Keep Firmware Updated:

    • Regularly check for firmware updates for your Trezor device on the official Trezor website and follow the instructions to keep it up-to-date for enhanced security.

Remember that the security of your Trezor wallet depends on safeguarding your PIN and recovery seed. Always keep these details secure and never share them with anyone. If your Trezor device is lost or damaged, you can recover your funds using the recovery seed you stored during the setup process.

Last updated